(Given)
<<<
# Pu3AlGa2

Pu3AlGa2 after structural relaxation (PBE, Alexandria via LeMat-Bulk).

Output
The magnetization is 16.40 Bohr magnetons per cell. The value obtained for the total energy is -9.067 eV per atom. Its space group is P4/mmm (123). Its formation energy is -268.6 meV/atom.

abc: 3.0676 3.0676 13.6768
angles: 90.00 90.00 90.00
Last column: nearest neighbours and their distance in Å.
Fractional coordinates of all 6 atoms:
Pu (0.0000, 0.0000, 0.0000)  4 Pu 3.07, 8 Ga 3.14
Pu (0.0000, 0.0000, 0.3309)  4 Pu 3.07, 4 Ga 3.13, 4 Al 3.17
Pu (0.0000, 0.0000, 0.6691)  4 Pu 3.07, 4 Ga 3.13, 4 Al 3.17
Al (0.5000, 0.5000, 0.5000)  4 Al 3.07, 8 Pu 3.17
Ga (0.5000, 0.5000, 0.1656)  4 Ga 3.07, 8 Pu 3.13-3.14
Ga (0.5000, 0.5000, 0.8344)  4 Ga 3.07, 8 Pu 3.13-3.14

----------

Entry 1:
# MgTaCr GGA-PBEsol relaxed
# Formation energy from the elements: 0.3907 eV/atom
# Polymorph energy (0 for the lowest one): 0.0 meV/atom
data_MgTaCr
_symmetry_space_group_name_H-M 'I 4 m m'
_symmetry_Int_Tables_number 107
_symmetry_space_group_name_Hall 'I 4 -2'
_cell_length_a 3.186
_cell_length_b 3.186
_cell_length_c 9.872
_cell_angle_alpha 90.00
_cell_angle_beta 90.00
_cell_angle_gamma 90.00
loop_
_atom_site_label
_atom_site_fract_x
_atom_site_fract_y
_atom_site_fract_z
Mg1 0.000 0.000 0.000
Ta1 0.000 0.000 0.707
Cr1 0.000 0.000 0.317

---

Entry 2:
# Na4Al3CrP8O28 GGA-PBEsol relaxed
# Formation energy (no corrections): -2.419 eV per atom
data_Na4Al3CrP8O28
_symmetry_space_group_name_H-M 'P 1'
_symmetry_Int_Tables_number 1
_cell_length_a 7.249
_cell_length_b 7.727
_cell_length_c 9.370
_cell_angle_alpha 90.09
_cell_angle_beta 111.73
_cell_angle_gamma 90.11
loop_
_symmetry_equiv_pos_as_xyz
'x,y,z'
loop_
_atom_site_label
_atom_site_fract_x
_atom_site_fract_y
_atom_site_fract_z
Na1 0.000 0.000 0.000
Na2 0.000 0.452 0.501
Na3 0.417 0.950 0.407
Na4 0.418 0.500 0.905
Al1 0.449 0.967 0.956
Al2 0.968 0.985 0.450
Al3 0.969 0.466 0.951
Cr1 0.448 0.483 0.457
P1 0.033 0.684 0.247
P2 0.039 0.768 0.749
P3 0.378 0.266 0.156
P4 0.379 0.182 0.659
P5 0.633 0.733 0.249
P6 0.638 0.723 0.753
P7 0.782 0.222 0.156
P8 0.783 0.229 0.656
O1 0.019 0.781 0.582
O2 0.020 0.670 0.082
O3 0.063 0.873 0.303
O4 0.065 0.579 0.804
O5 0.175 0.558 0.359
O6 0.187 0.891 0.858
O7 0.232 0.060 0.547
O8 0.232 0.391 0.047
O9 0.349 0.373 0.610
O10 0.350 0.078 0.099
O11 0.393 0.273 0.322
O12 0.397 0.167 0.826
O13 0.512 0.614 0.308
O14 0.516 0.769 0.080
O15 0.518 0.692 0.583
O16 0.526 0.842 0.818
O17 0.585 0.123 0.643
O18 0.586 0.330 0.144
O19 0.707 0.895 0.347
O20 0.709 0.058 0.059
O21 0.709 0.557 0.846
O22 0.717 0.394 0.560
O23 0.826 0.622 0.260
O24 0.834 0.832 0.765
O25 0.894 0.341 0.090
O26 0.895 0.109 0.591
O27 0.901 0.185 0.324
O28 0.902 0.266 0.825

---

Entry 3:
# Bi4O3F7 GGA-PBEsol relaxed
# Formation energy (no corrections): -1.980 eV per atom
data_Bi4O3F7
_symmetry_space_group_name_H-M 'P 1 m 1'
_symmetry_Int_Tables_number 6
_cell_length_a 5.680
_cell_length_b 3.883
_cell_length_c 8.304
_cell_angle_alpha 90.00
_cell_angle_beta 90.96
_cell_angle_gamma 90.00
loop_
_symmetry_equiv_pos_as_xyz
'x,y,z'
'x,-y,z'
loop_
_atom_site_label
_atom_site_fract_x
_atom_site_fract_y
_atom_site_fract_z
Bi1 0.000 0.000 0.000
Bi2 0.004 0.000 0.490
Bi3 0.516 0.500 0.734
Bi4 0.574 0.500 0.239
O1 0.743 0.500 0.997
O2 0.744 0.500 0.484
O3 0.823 0.000 0.242
F1 0.119 0.500 0.709
F2 0.203 0.500 0.388
F3 0.220 0.500 0.057
F4 0.355 0.000 0.222
F5 0.391 0.000 0.877
F6 0.415 0.000 0.569
F7 0.799 0.000 0.742

---

Entry 4:
# Na2Be2Si3O9 GGA-PBEsol relaxed
# Formation energy (no corrections): -2.661 eV per atom
data_Na2Be2Si3O9
_symmetry_space_group_name_H-M 'P n m a'
_symmetry_Int_Tables_number 62
_cell_length_a 11.800
_cell_length_b 9.463
_cell_length_c 6.833
_cell_angle_alpha 90.00
_cell_angle_beta 90.00
_cell_angle_gamma 90.00
loop_
_symmetry_equiv_pos_as_xyz
'x,y,z'
'-x,-y,-z'
'-x+1/2,-y,z+1/2'
'x+1/2,y,-z+1/2'
'x+1/2,-y+1/2,-z+1/2'
'-x+1/2,y+1/2,z+1/2'
'-x,y+1/2,-z'
'x,-y+1/2,z'
loop_
_atom_site_label
_atom_site_fract_x
>>>
(Assignment)
Say how many lines of the material further up hold the word "O21", as a bare number, please.
(Solution)
1